Chef Infra Client 15.8.23 Released!

Hey Everyone,

We have a great new release today with Chef Infra Client 15.8. This release comes with a cool new notify_group feature as well as several dozen new helpers to make writing cookbooks easier than ever.

New notify_group functionality

Chef Infra Client now includes a new notify_group feature that can be used to extract multiple common notifies out of individual resources to reduce duplicate code in your cookbooks and custom resources. Previously cookbook authors would often use a log resource to achieve a similar outcome, but using the log resource results in unnecessary Chef Infra Client log output. The notify_group method produces no additional logging, but fires all defined notifications when the :run action is set.

Example notify_group that stops, sleeps, and then starts service when a service config is updated:

  service "crude" do
    action [ :enable, :start ]

  chef_sleep "60" do
    action :nothing

  notify_group "crude_stop_and_start" do
    notifies :stop, "service[crude]", :immediately
    notifies :sleep, "chef_sleep[60]", :immediately
    notifies :start, "service[crude]", :immediately

  template "/etc/crude/crude.conf" do
    source "crude.conf.erb"
    variables node["crude"]
    notifies :run, "notify_group[crude_stop_and_start]", :immediately

Chef InSpec 4.18.85

Chef InSpec has been updated from 4.18.39 to 4.18.85. This release includes a large number of bug fixes in addition to some great resource enhancements:

  • The service resource features new support for yocto-based linux distributions. Thank you to @michaellihs for this addition!
  • The package resource now includes support for FreeBSD. Thank you to @fzipi for this work!
  • We standardized the platform for the etc_hosts, virtualization, ini, and xml resources.
  • The oracledb_session resource works again due to a missing quote fix.
  • The groups resource on macOS no longer reports duplicates anymore.
    command.exist? now conforms to POSIX standards. Thanks to @PiQuer!
  • Changed the postfix_conf resource's supported platform to the broader unix. Thank you to @fzipi for this fix!

New Cookbook Helpers

New helpers have been added to make writing cookbooks easier.

Platform Version Helpers

New helpers for checking platform versions have been added. These helpers return parsed version strings so there's no need to convert the returned values to Integers or Floats before comparing them. Additionally, comparisons with version objects properly understand the order of versions so 5.11 will compare as larger than 5.9, whereas converting those values to Floats would result in 5.9 being larger than 5.11.

  • windows_nt_version returns the NT kernel version which often differs from Microsoft's marketing versions. This helper offers a good way to find desktop and server releases that are based on the same codebase. For example, NT 6.3 is both Windows 8.1 and Windows 2012 R2.
  • powershell_version returns the version of PowerShell installed on the system.
  • platform_version returns the value of node['platform_version'].

Example comparison using windows_nt_version:

if windows_nt_version >= 10

Cloud Helpers

The cloud helpers from chef-sugar have been ported to Chef Infra Client:

  • cloud? - if the node is running in any cloud, including internal clouds
  • ec2? - if the node is running in ec2
  • gce? - if the node is running in gce
  • rackspace? - if the node is running in rackspace
  • eucalyptus? - if the node is running under eucalyptus
  • linode? - if the node is running in linode
  • openstack? - if the node is running under openstack
  • azure? - if the node is running in azure
  • digital_ocean? - if the node is running in digital ocean
  • softlayer? - if the node is running in softlayer

Virtualization Helpers

The virtualization helpers from chef-sugar have been ported to Chef Infra Client and extended with helpers to detect hypervisor hosts, physical, and guest systems.

  • kvm? - if the node is a kvm guest
  • kvm_host? - if the node is a kvm host
  • lxc? - if the node is an lxc guest
  • lxc_host? - if the node is an lxc host
  • parallels?- if the node is a parallels guest
  • parallels_host?- if the node is a parallels host
  • vbox? - if the node is a virtualbox guest
  • vbox_host? - if the node is a virtualbox host
  • vmware? - if the node is a vmware guest
  • vmware_host? - if the node is a vmware host
  • openvz? - if the node is an openvz guest
  • openvz_host? - if the node is an openvz host
  • guest? - if the node is detected as any kind of guest
  • hypervisor? - if the node is detected as being any kind of hypervisor
  • physical? - the node is not running as a guest (may be a hypervisor or may be bare-metal)
  • vagrant? - attempts to identify the node as a vagrant guest (this check may be error-prone)

include_recipe? helper

chef-sugar's include_recipe? has been added to Chef Infra Client providing a simple way to see if a recipe has been included on a node already.

Example usage in a not_if conditional:

execute 'install my_app'
  command '/tmp/'
  not_if { include_recipe?('my_app::install') }

Updated Resources


The ifconfig resource now supports the newer ifconfig release that ships in Debian 10.


The mac_user resource, used when creating a user on Mac systems, has been improved to work better with macOS Catalina (10.15). The resource now properly looks up the numeric GID when creating a user, once again supports the system property, and includes a new hidden property which prevents the user from showing on the login screen. Thanks @chilcote for these fixes and improvements.


The sysctl resource has been updated to allow the inclusion of descriptive comments. Comments may be passed as an array or as a string. Any comments provided are prefixed with '#' signs and precede the sysctl setting in generated files.

An example:

sysctl 'vm.swappiness' do
  value 10
  comment [
     "define how aggressively the kernel will swap memory pages.",
     "Higher values will increase aggressiveness",
     "lower values decrease the amount of swap.",
     "A value of 0 instructs the kernel not to initiate swap",
     "until the amount of free and file-backed pages is less",
     "than the high water mark in a zone.",
     "The default value is 60."

which results in /etc/sysctl.d/99-chef-vm.swappiness.conf as follows:

# define how aggressively the kernel will swap memory pages.
# Higher values will increase aggressiveness
# lower values decrease the amount of swap.
# A value of 0 instructs the kernel not to initiate swap
# until the amount of free and file-backed pages is less
# than the high water mark in a zone.
# The default value is 60.
vm.swappiness = 10

Platform Support

  • Chef Infra Clients packages are now validated for Debian 10.

macOS Binary Signing

Each binary in the macOS Chef Infra Client installation is now signed to improve the integrity of the installation and ensure compatibility with macOS Catalina security requirements.


Get the Build

As always, you can download binaries directly from or by using the mixlib-install command-line utility:

$ mixlib-install download chef -v 15.8.23

Alternatively, you can install Chef Infra Client using one of the following command options:

# In Shell
$ curl | sudo bash -s -- -P chef -v 15.8.23

# In Windows Powershell
. { iwr -useb } | iex; install -project chef -version 15.8.23

If you want to give this version a spin in Test Kitchen, create or add the following to your kitchen.yml file:

## Calculated crystals from another source follow
- - -
No. 1
This entry pairs a crystal structure of K4MgW2O8 with its simulated powder diffractogram. Radiation: CuKα. Structure: DFT lattice parameters and positions (GGA+U).

Structural model:
```
data_K4MgW2O8
_chemical_formula_sum 'K8 Mg2 W4 O16'
_cell_length_a 15.8795
_cell_length_b 6.8098
_cell_length_c 7.2065
_cell_angle_alpha 90.00
_cell_angle_beta 109.03
_cell_angle_gamma 90.00
_space_group_name_H-M_alt 'C 1 2 1'
_space_group_IT_number 5
_space_group_name_Hall 'C 2y'
loop_
_atom_site_label
_atom_site_type_symbol
_atom_site_fract_x
_atom_site_fract_y
_atom_site_fract_z
K1 K 0.0614 0.0000 0.2857
K2 K 0.2250 0.5613 0.8088
Mg1 Mg 0.0000 0.4246 0.5000
W1 W 0.1626 0.5342 0.2726
O1 O 0.0825 0.5972 0.4033
O2 O 0.1333 0.3078 0.1351
O3 O 0.1650 0.7329 0.1049
O4 O 0.2289 0.0017 0.5473
```

The 8 most intense peaks (2θ from 10° to 90°), most intense first:
hkl 2 0 -1, 2θ = 14.4°, d 6.138, I = 100.0
hkl 3 1 0, 2θ = 22.0°, d 4.032, I = 94.6
hkl 0 2 0, 2θ = 26.2°, d 3.405, I = 79.8
hkl 2 0 1, 2θ = 20.3°, d 4.383, I = 71.4
hkl 3 1 -2, 2θ = 29.5°, d 3.023, I = 67.2
hkl 1 1 0, 2θ = 14.3°, d 6.201, I = 47.9
hkl 5 1 1, 2θ = 38.8°, d 2.319, I = 45.2
hkl 1 1 1, 2θ = 20.6°, d 4.306, I = 44.9

***

No. 2
This entry pairs a crystal structure of K4MnMo4O15 with its simulated powder diffractogram. Radiation: CuKα. Structure: DFT lattice parameters and positions (GGA+U).

Structural model:
```
data_K4MnMo4O15
_chemical_formula_sum 'K8 Mn2 Mo8 O30'
_cell_length_a 10.5686
_cell_length_b 10.5686
_cell_length_c 8.3569
_cell_angle_alpha 90.00
_cell_angle_beta 90.00
_cell_angle_gamma 120.00
_space_group_name_H-M_alt 'P -3'
_space_group_IT_number 147
_space_group_name_Hall '-P 3'
loop_
_atom_site_label
_atom_site_type_symbol
_atom_site_fract_x
_atom_site_fract_y
_atom_site_fract_z
K1 K 0.0000 0.0000 0.0000
K2 K 0.0000 0.0000 0.5000
K3 K 0.0883 0.3931 0.3597
Mn1 Mn 0.3333 0.6667 0.0334
Mo1 Mo 0.0171 0.3420 0.8602
Mo2 Mo 0.3333 0.6667 0.6422
O1 O 0.0073 0.2184 0.7087
O2 O 0.0168 0.2752 0.0536
O3 O 0.1427 0.6367 0.1604
O4 O 0.1775 0.6574 0.5496
O5 O 0.1865 0.5208 0.8377
```

The 8 most intense peaks (2θ from 10° to 90°), most intense first:
hkl 1 1 2, 2θ = 27.2°, d 3.278, I = 100.0
hkl 3 0 0, 2θ = 29.3°, d 3.051, I = 90.9
hkl 2 -1 1, 2θ = 19.9°, d 4.466, I = 63.9
hkl 0 0 1, 2θ = 10.6°, d 8.357, I = 26.9
hkl 5 -4 1, 2θ = 46.8°, d 1.943, I = 26.8
hkl 3 -2 2, 2θ = 33.6°, d 2.665, I = 23.9
hkl 2 0 2, 2θ = 28.9°, d 3.086, I = 23.2
hkl 4 1 2, 2θ = 50.7°, d 1.802, I = 22.0

***

No. 3
This entry pairs a crystal structure of K2NaMnO4 with its simulated powder diffractogram. Radiation: CuKα. Structure: DFT lattice parameters and positions (GGA+U).

Structural model:
```
data_K2NaMnO4
_chemical_formula_sum 'K32 Na16 Mn16 O64'
_cell_length_a 10.5933
_cell_length_b 11.5025
_cell_length_c 17.3097
_cell_angle_alpha 90.00
_cell_angle_beta 90.00
_cell_angle_gamma 90.00
_space_group_name_H-M_alt 'F d d d'
_space_group_IT_number 70
loop_
_space_group_symop_operation_xyz
'x,y,z'
'-x,-y,-z'
- - -

  product_name: chef
  product_version: 15.8.23